Welcome inaction
Published July 8, 2016
Editorial by Greensboro News-Record, July 8, 2016.
Legislators missed chances to do good things, such as repealing House Bill 2, in their recently concluded short session. The negative consequences will continue to add up.
But, fortunately, they didn’t get around to enacting all the bad proposals on their agenda.
One of the worst was House Bill 100, which would have barred police from recognizing privately issued identification cards and imposed harsh penalties on cities where “violations” occurred.
This measure was aimed squarely at Greensboro, where the police department and FaithAction International House collaborated on a program to provide verified ID cards to resident immigrants. The effort was so successful in improving police relations with immigrant communities that other cities and counties adopted it, provoking a potential legislative backlash.
The bill would have empowered the state attorney general to find violations and trigger a cutoff of state funding. Little wonder the measure was opposed by state law enforcement associations. Yet, it was approved by the Senate with all Republican votes. Wisely, House leaders declined to call a final vote.
Likewise, the House let a package of three proposed constitutional amendments die for lack of a vote. The most troubling of the three would have restricted state spending and put a 5.5 percent cap on income-tax rates. It would have tied the hands of future legislatures to set budgets based on economic conditions and state needs of their own times.
The legislature failed to adopt a proposal to put strict limitations on the development of wind and solar energy projects. Enacting this measure would have posed a severe and unwarranted setback to the state’s fast-growing solar-power industry.
On the negative side, lawmakers adjourned before passing new regulations to ensure water safety at parks like the U.S. National Whitewater Center near Charlotte, where a teenager from Ohio died last month from a brain infection caused by an amoeba in the water. The House passed a measure to require appropriate water testing, but the Senate did not concur.
Another split between the House and Senate led to a dramatic House debate in the final hours before adjournment last Friday. The House voted down a Senate bill to restructure the Asheville City Council, with Greensboro Rep. John Blust leading the opposition. The vote produced one of the finest moments of the session and was a rare defeat of attempted meddling in local affairs that powerful legislators have pursued in recent years. While all Senate Republicans voted for the bill, 24 House Republicans said no. With Democrats, they were enough to kill it.
On their main task, updating the state budget, Republicans achieved some bipartisan support by raising teacher salaries and enacting income-tax relief for lower- and middle-income taxpayers for a change. They socked more money into savings accounts, guarding against another economic downturn. It would have been wise to invest more in education and transportation, but this legislature’s work could have been worse.
July 8, 2016 at 10:42 am
Norm Kelly says:
Here we go again. Or is it still?
The FBI director laid out the charges against Hildabeast quite eloquently, then told us that these charges were insufficient to prosecute. And what do libs whine about? Bathrooms for gays! Talk about a stuck record!
== Unrelated to this entry: materials data ==
(1)
This record from the Materials Project database describes a relaxed SrCeMg14 crystal. The functional is PBE.

Properties
Theoretical density (g cm⁻³): 2.223
Uncorrected energy (eV/atom): -1.783
Symmetry: Amm2, No. 38

Lattice parameters (Å, degrees): 6.6174 6.6174 10.7277 90.00 90.00 115.44
Fractional coordinates of all 16 atoms:
Mg (0.3375, 0.1693, 0.5000)
Mg (0.8307, 0.6625, 0.5000)
Mg (0.3339, 0.6661, 0.0000)
Mg (0.6728, 0.8395, 0.2390)
Mg (0.1605, 0.3272, 0.7610)
Mg (0.6646, 0.3354, 0.7499)
Mg (0.8326, 0.1674, 0.0000)
Mg (0.1607, 0.8393, 0.7562)
Mg (0.1607, 0.8393, 0.2438)
Mg (0.3364, 0.1669, 0.0000)
Mg (0.6728, 0.8395, 0.7610)
Mg (0.1605, 0.3272, 0.2390)
Mg (0.6646, 0.3354, 0.2501)
Mg (0.8331, 0.6636, 0.0000)
Ce (0.8413, 0.1587, 0.5000)
Sr (0.3373, 0.6627, 0.5000)

---

(2)
This record from the Materials Project database describes a relaxed Ti9Zn2O13 crystal. The functional is PBE.

Properties
Theoretical density (g cm⁻³): 5.307
Total energy after the MP2020 corrections (eV per cell): -203.79
Uncorrected energy (eV/atom): -8.119
Symmetry: C2/m, No. 12

Lattice parameters (Å, degrees): 5.1522 5.1522 16.7098 81.03 81.03 33.38
Fractional coordinates of all 24 atoms:
O (0.8685, 0.8685, 0.7706)
O (0.6268, 0.6268, 0.3779)
O (0.7139, 0.7139, 0.0861)
O (0.0000, 0.0000, 0.0000)
O (0.3731, 0.3731, 0.3135)
O (0.2861, 0.2861, 0.9139)
O (0.6269, 0.6269, 0.6865)
O (0.3732, 0.3732, 0.6221)
O (0.5797, 0.5797, 0.8534)
O (0.1228, 0.1228, 0.5486)
O (0.4203, 0.4203, 0.1466)
O (0.1315, 0.1315, 0.2294)
O (0.8772, 0.8772, 0.4514)
Ti (0.9896, 0.9896, 0.6633)
Ti (0.5000, 0.5000, 0.5000)
Ti (0.2362, 0.2362, 0.4252)
Ti (0.0690, 0.0690, 0.1171)
Ti (0.7638, 0.7638, 0.5748)
Ti (0.9310, 0.9310, 0.8829)
Ti (0.6536, 0.6536, 0.9638)
Ti (0.3464, 0.3464, 0.0362)
Ti (0.0104, 0.0104, 0.3367)
Zn (0.2142, 0.2142, 0.7714)
Zn (0.7858, 0.7858, 0.2286)

---

(3)
This record from the Materials Project database describes a relaxed TiCl4 crystal. The functional is PBE.

Properties
Theoretical density (g cm⁻³): 1.556
Total energy after the MP2020 corrections (eV per cell): -102.78
Uncorrected energy (eV/atom): -4.648
Symmetry: P2_1/c, No. 14

Lattice parameters (Å, degrees): 7.1684 10.7404 10.7506 77.95 90.00 90.00
Fractional coordinates of all 20 atoms:
Cl (0.6361, 0.1952, 0.9183)
Cl (0.5752, 0.4150, 0.2071)
Cl (0.8639, 0.1952, 0.4183)
Cl (0.4343, 0.3018, 0.5285)
Cl (0.1361, 0.8048, 0.5817)
Cl (0.5657, 0.6982, 0.4715)
Cl (0.3639, 0.8048, 0.0817)
Cl (0.9343, 0.6982, 0.9715)
Cl (0.9248, 0.4150, 0.7071)
Cl (0.4248, 0.5850, 0.7929)
Cl (0.0690, 0.0930, 0.8097)
Cl (0.5690, 0.9070, 0.6903)
Cl (0.0752, 0.5850, 0.2929)
Cl (0.4310, 0.0930, 0.3097)
Cl (0.9310, 0.9070, 0.1903)
Cl (0.0657, 0.3018, 0.0285)
Ti (0.5766, 0.2511, 0.3664)
Ti (0.9234, 0.2511, 0.8664)
Ti (0.4234, 0.7489, 0.6336)
Ti (0.0766, 0.7489, 0.1336)

---

(4)
There are real issues to deal with, not whether someone confused knows which bathroom to use. Again, the bathroom problem was CREATED BY LIBS! It's time to let it go and concentrate on something that can actually make a difference in ANYONE'S life. Bathrooms ain't it!
Hildabeast being let off the hook, AGAIN!, is an issue.
Every lawyer in America needs to start using lib defenses, pointing specifically to Clintons when getting their perps off the hook.
If it's good for the elite's, for demons, for lib pols, it's good for the masses. If some elite pol can get off the hook for breaking MULTIPLE LAWS, then it's good enough for the rest of us.
Libs want us to ignore that illegal aliens are breaking our laws to be here, allow them to steal our jobs, and take government money to support them. We are to ignore that they are breaking MULTIPLE LAWS.
Libs also want us to ignore that libs themselves are permitting themselves special treatment and are ALLOWED TO BREAK ANY LAW THEY CHOOSE! But the masses are supposed to follow the laws as LIBS lay them out.
It's time for a revolt. It's time to put every lib in their place. It's time to force libs to follow the same laws the masses are forced to follow. One recent example, besides Hildabeast, is Obamacancer. We were told Congress was going to fall under control of THEIR law. After it was implemented, how did libs respond? They PURPOSELY, SPECIFICALLY EXEMPTED THEMSELVES from the failure that is socialized medicine.
== Calculated crystals, kept here for reference ==
~~~
Here is a geometry-optimized Ag3SI structure from the Materials Project database. Energies are from GGA-PBE.

a b c (Å): 10.1518 7.0935 7.0110
angles (deg): 58.88 43.46 44.64
Last column: nearest neighbours and their distance in Å.
Sites, in units of the cell vectors:
Ag 0.4358 0.6161 0.4953  2 S 2.58-2.63
Ag 0.0669 0.4991 0.0031  2 S 2.54-2.55
S 0.7315 0.5111 0.5053  6 Ag 2.55-2.63
I 0.0088 0.9997 0.9978  6 Ag 3.02-3.22
S 0.2343 0.5039 0.5035  6 Ag 2.54-2.63
Ag 0.5762 0.4896 0.0050  2 S 2.55-2.56
I 0.5095 0.0006 0.9974  6 Ag 3.04-3.23
Ag 0.9388 0.0077 0.4924  2 S 2.56
Ag 0.0518 0.3840 0.4931  2 S 2.58-2.63
Ag 0.5438 0.0094 0.4975  2 S 2.54-2.55

## Properties
calculated formation energy	-0.25	eV per atom
density	6.57	g/cm³
DFT total energy	-14.52	eV per formula unit
volume	24.4	Å³/atom

=====

1 | First-principles (GGA+U) data for a relaxed MgTi8Ni8O24 crystal, as listed in the Materials Project database.

abc: 5.6350 11.1662 11.1474
angles: 54.41 54.02 54.10
Fractional coordinates of all 41 atoms:
Mg1 0.2884 0.6614 0.6596
Ti1 0.3549 0.1750 0.1703
Ti2 0.1400 0.0772 0.5692
Ti3 0.1366 0.5721 0.0781
Ti4 0.0165 0.5053 0.5173
Ti5 0.8090 0.4184 0.4251
Ti6 0.8596 0.4223 0.9221
Ti7 0.8988 0.9185 0.4068
Ti8 0.8257 0.9377 0.9299
Ni1 0.1379 0.0732 0.0718
Ni2 0.3498 0.6770 0.1665
Ni3 0.3585 0.1586 0.6790
Ni4 0.6420 0.3176 0.3160
Ni5 0.4996 0.7425 0.7433
Ni6 0.6454 0.3200 0.8280
Ni7 0.6498 0.8295 0.3203
Ni8 0.6622 0.8287 0.8359
O1 0.0536 0.3757 0.2118
O2 0.4229 0.0455 0.3699
O3 0.7206 0.2251 0.0316
O4 0.2171 0.2856 0.4746
O5 0.5532 0.4697 0.1110
O6 0.0479 0.3740 0.7188
O7 0.0440 0.8705 0.2280
O8 0.9535 0.1145 0.2785
O9 0.4679 0.0251 0.8733
O10 0.4273 0.5158 0.3774
O11 0.7616 0.2092 0.5270
O12 0.7606 0.7210 0.0362
O13 0.2191 0.2883 0.9706
O14 0.2417 0.7960 0.4520
O15 0.6142 0.4624 0.6112
O16 0.5677 0.9817 0.1139
O17 0.0772 0.8749 0.7125
O18 0.9546 0.1115 0.7783
O19 0.9482 0.6067 0.2912
O20 0.4202 0.5355 0.8769
O21 0.7363 0.7087 0.5325
O22 0.2351 0.7813 0.9617
O23 0.5680 0.9545 0.6136
O24 0.8913 0.6210 0.7975


2 | First-principles (GGA+U) data for a relaxed MgTi8Ni8O24 crystal, as listed in the Materials Project database.

abc: 5.7062 10.8814 11.4123
angles: 55.57 52.89 55.19
Fractional coordinates of all 41 atoms:
Mg1 0.8329 0.3505 0.1715
Ti1 0.4013 0.1514 0.1930
Ti2 0.1364 0.0708 0.5894
Ti3 0.1678 0.5870 0.0499
Ti4 0.1521 0.5875 0.5502
Ti5 0.8529 0.4292 0.4187
Ti6 0.8669 0.4343 0.8882
Ti7 0.8872 0.9165 0.4206
Ti8 0.8220 0.9263 0.9346
Ni1 0.1415 0.0741 0.0794
Ni2 0.3515 0.6759 0.1731
Ni3 0.3395 0.1543 0.7175
Ni4 0.5387 0.2776 0.4485
Ni5 0.3566 0.6753 0.6647
Ni6 0.6247 0.3314 0.8137
Ni7 0.6736 0.8160 0.3263
Ni8 0.6476 0.8277 0.8138
O1 0.1089 0.3731 0.1998
O2 0.4498 0.0313 0.3767
O3 0.7309 0.2231 0.0346
O4 0.2069 0.2859 0.4497
O5 0.5572 0.5050 0.0733
O6 0.0441 0.3823 0.7105
O7 0.0565 0.8711 0.2332
O8 0.9817 0.1201 0.2789
O9 0.4627 0.0080 0.8916
O10 0.4613 0.5157 0.3752
O11 0.7735 0.2022 0.5566
O12 0.7780 0.7112 0.0317
O13 0.1844 0.3027 0.9637
~~~
What will it take for the masses to finally revolt? Certainly NOT electing Hildabeast! Shame on every lib out there who accepts the tyranny that is elitism. Perpetrated by your own lib leaders and excused by those same law-breaking lib leaders. Don't expect truth from your 'news' sources either. They are libs also, and support elitists who ARE above the law. Your 'news' sources make excuses for law-breaking libs expecting you accept their smoke-screen. And, unfortunately, most of you low-information lib voters DO accept their garbage and go along with it like it's not a problem.
Every time one of you libs whines about Republicans, we WILL remind you of who and what you support!